Tuesday, November 15, 2011

Pet Peeve

I have a pet peeve, you may call me a name for it, but honestly I don't know if there is a name for this because maybe it only bugs me!

I won't draw it out, it's the idolization of Single Mothers. The 'what sacrifice,' 'they work so hard,' 'I just don't know how they do it,' sort of comments with complete and utter awe in their voice. Now, before you get all defensive and spout off about this person or that person who deserves respect for their situation etc...let me clarify. Widowed single mothers DO NOT count, they are there because of no fault of their own. Also, I do not believe that single mothers deserve contempt based on their singleness. I just think that by putting them into a category of martyr we elevate the status and very possibly push more into the category. I understand that this is a simplistic view and single mothers (ones who have chosen this title and ones who made poor decisions on a spouse) do need help and caring, but awe and wonder I don't believe should be bestowed. Unfortunantly, the kids are the ones who suffer most.

┌──
1.
C5H13NO | ωB97M-V/def2-TZVPD

Computed properties:
SMILES = CN1CCCC1.O
Calculated total energy = -8930.187 eV
HOMO = -0.31168 Eh
Energy relative to the best compared isomer or geometry (same formula, charge and spin) = 368.9 kJ/mol
LUMO level = 0.42 eV

XYZ file:
```
20
Properties=species:S:1:pos:R:3:lowdin_charge:R:1
C 0.449 -0.832 -2.595 -0.053
N 0.398 -0.883 -1.052 -0.243
C -0.867 -0.189 -0.582 -0.224
C -0.529 1.317 -0.519 -0.195
C 0.999 1.295 0.014 -0.179
C 1.437 -0.180 -0.307 -0.216
H -0.423 -1.286 -2.972 0.051
H 1.471 -1.220 -2.865 0.096
H 0.243 0.222 -2.815 0.063
H -1.781 -0.246 -1.280 0.118
H -1.325 -0.785 0.277 0.124
H -1.146 1.845 0.288 0.111
H -0.252 1.976 -1.446 0.121
H 0.934 1.435 1.154 0.101
H 1.668 2.184 -0.436 0.127
H 2.268 -0.546 -0.886 0.104
H 1.234 -0.719 0.595 0.094
O -1.629 -1.354 5.519 -0.131
H -2.160 -0.490 5.052 0.149
H -0.990 -1.543 4.856 -0.018
```

=====

2.
C55H74BrN2O9P4S2 | ωB97M-V/def2-TZVPD

Computed properties:
Calculated total energy = -208508.758 eV
HOMO = -0.38869 Eh
Energy relative to the best compared isomer or geometry (same formula, charge and spin) = 0.0 kJ/mol
LUMO level = -2.97 eV
Charge = +1

XYZ file:
```
147
Properties=species:S:1:pos:R:3:lowdin_charge:R:1
C -1.747 2.732 1.920 -0.072
C -1.318 1.392 1.320 -0.257
C -0.508 1.607 0.024 -0.188
C 0.189 0.349 -0.501 -0.274
C -0.190 0.017 -1.961 -0.598
C -1.625 -0.660 -1.872 -0.412
S -3.101 0.150 -2.579 0.873
C -4.087 0.496 -1.102 -0.540
C -5.572 0.625 -1.479 -0.148
P -0.323 1.470 -3.169 0.962
P -0.162 0.548 -5.116 0.252
O -0.318 1.641 -6.077 -0.305
O -1.265 -0.599 -5.186 -0.157
O 1.300 -0.113 -5.255 -0.162
O 0.688 -0.956 -2.533 -0.125
C 1.146 -1.882 -1.582 -0.300
C 1.753 -3.053 -2.342 -0.195
O 0.814 -3.721 -3.133 -0.105
C -0.263 -4.372 -2.470 -0.233
C 0.073 -5.063 -1.161 -0.062
C 2.042 -1.283 -0.444 -0.737
N 1.807 -1.997 0.792 -0.011
S 3.820 -1.553 -0.745 0.896
N 1.706 0.214 -0.199 -0.235
P 1.877 0.567 1.766 0.698
O 2.076 2.139 1.745 -0.328
Br 3.871 -0.112 2.402 0.466
P 2.707 1.378 -1.087 0.393
O 2.127 2.720 -1.119 -0.240
O 4.076 1.418 -0.289 -0.196
O 2.962 0.791 -2.524 -0.115
H -1.969 2.655 2.979 0.078
H -2.647 3.078 1.413 0.077
H -0.982 3.486 1.740 0.074
H -0.794 0.756 2.032 0.068
H -2.219 0.845 1.034 0.088
H -1.244 1.917 -0.720 0.093
H 0.152 2.460 0.157 0.092
H -0.212 -0.465 0.104 0.116
H -1.905 -0.802 -0.831 0.069
H -1.542 -1.593 -2.419 0.063
H -3.763 1.419 -0.623 0.057
H -3.942 -0.307 -0.381 0.068
H -5.773 0.160 -2.440 0.057
H -5.837 1.676 -1.542 0.073
H -6.183 0.166 -0.708 0.074
H 0.861 2.223 -3.172 -0.065
H -1.205 -1.054 -6.038 0.099
H 1.288 -0.978 -5.680 0.082
H 0.257 -2.269 -1.064 0.129
H 2.475 -2.640 -3.047 0.126
H 2.317 -3.732 -1.701 0.111
H -0.643 -5.116 -3.165 0.127
H -1.088 -3.669 -2.321 0.104
H -0.585 -5.905 -0.959 0.080
H 1.086 -5.465 -1.156 0.085
H -0.008 -4.404 -0.294 0.058
H 2.168 -2.938 0.682 0.093
H 0.814 -2.072 0.993 0.094
H 3.835 -1.366 -2.069 -0.082
H 2.998 2.425 1.647 0.058
H 4.611 2.133 -0.669 0.114
H 3.007 1.534 -3.147 0.109
└──

Yes, I do have trouble swallowing the 'Prodigal Son' Parable. : )

Pet peeve rant, over...oh, an extra little rant on a similar topic.

In Salem they have at least one billboard that is for a big brother/little brother type program where Men mentor young boys without a male role model. No, I do not believe this is wrong, I think it is a great program because it's a near epidemic of single mothers without a male role model of any value. The issue I have is their push line, "Real Men Mentor." Okay, so because my husband is busy working and taking care of his family of four kids, a wife, and a house he's not a 'real man'? I know they're just trying to put a little self conscience guilt trip to push those who aren't taking care of families to consider helping the children, but it still rubs me wrong.

Okay, now I really done...as long as I don't start about Wal-Mart!

1 comment:

Melinda said...

I completely agree with you. I feel the same way a lot of time about women who choose to have a paying job single or not. "Well, they're working so they don't have time to do that." or "Your time isn't as valuable, because you're just at home."

I'm just saying...my husband (and I know yours too) works many hours to get the bills paid. If I wanted extra "stuff," then I could stick my kids somewhere and accomplish that, but either way it is a choice. Just don't say it isn't. We all make choices.

As for single mothers there is totally an elevation of them. You should read "Sacred Marriage" by Gary Thomas (I loaned a copy to Steph if you want to borrow it). I think there are some good points in it that you may like.